Search Results for: professionals

Moral posturing of charitable organisations can go hand in hand with unethical behaviours

Moral posturing of charitable organisations can go hand in hand with unethical behaviours

The aura of moral goodness coming from within charitable organisations can blind their employees and volunteers, according to new research from the Rotterdam School of Management, Erasmus University (RSM). Lead researcher, Dr Isabel de Bruin found that people in charities’ can glorify their charities’ noble goals, noble values, and noble people. This self-glorification can lead to unethical behaviour, which she terms as the “NGO halo effect”.  More →

AI can help people deal with burnout, say HR managers

AI can help people deal with burnout, say HR managers

A new report from Sage claims that HR professionals now welcome AI to ease the burden of admin jobs, take away time consuming tasks, and, ultimately, ease burnoutA new report from Sage claims that HR professionals now welcome AI to ease the burden of admin jobs, take away time consuming tasks, and, ultimately, ease burnout. The annual report, titled ‘The Changing Face of HR’ [registration], surveyed over 1,000 HR leaders across a range of sectors and countries, finding that 77 percent believe AI has the potential to revolutionise ways of working within their company. With 95 percent of respondents reporting an increase in their workload over the past year and 91 percent seeing an increase in more responsibilities in their role. HR leaders in the UK are particularly strained with workloads, with respondents twice as likely to work over 45 hours per week compared to before the pandemic, the report claims. More →

Virtual meetings can boost wellbeing and performance

Virtual meetings can boost wellbeing and performance

Virtual meetings – often derided as impersonal and prone to technical glitches – can improve employee wellbeing and performanceVirtual meetings – often derided as impersonal and prone to technical glitches – can improve employee wellbeing and performance, a new study led by a Trinity Business School researcher has found. The research, conducted alongside Karin S. Moser (UniDistance Suisse, University of Queensland), Stefan Diestel (University of Wuppertal) and Isaac Alshaikh (South East Technological University Waterford), conducted during the ongoing shift to hybrid work environments and just published in the Journal of Vocational Behavior, concludes that virtual meetings, a staple of the COVID-19 pandemic, are not just a necessity but can also be beneficial. More →

Is working from home creating an epidemic of burnout and loneliness? Spacemade has an answer

Is working from home creating an epidemic of burnout and loneliness? Spacemade has an answer

Many people working from home complain of feeling isolated and burnt out. So could a serviced office be the answerSince the pandemic, 69 percent of UK businesses have adopted a hybrid working model offering employees greater autonomy in their working lives. While this flexibility sounds ideal, it has unexpectedly created a work wellness issue, with employers reporting they have seen a 77 percent surge in mental health issues in 2023, vs 44 percent in 2022.  In a recent survey by Statista, 21 percent of workers said that their biggest struggle with working from home was that they had no reason to leave it. More →

Nine in ten employers of knowledge workers offer hybrid working. Nearly all would like them in the office more

Nine in ten employers of knowledge workers offer hybrid working. Nearly all would like them in the office more

91% of companies have employees hybrid working and nearly all have tried to encourage them to come to the office moreAround 91 percent of companies with a workforce that can work from home currently offer some form of hybrid working, according to a new poll of 500 HR professionals from Towergate Health & Protection. On average 39 percent of the workforce are hybrid working and 27 percent of employers have more than half their workforce hybrid working. The poll also suggests that 30 percent of employees work from home for at least three days a week. Employers stated that 31- 40-year-olds are the age group most likely to want to work from home, and over 60s and under 25s are least likely to want to work from home. More →

If you want a high paying job, remote work is now less of an option

If you want a high paying job, remote work is now less of an option

According to the latest data from the careers website Ladders, the availability of remote positions with salaries exceeding $200,000 has seen a drastic reduction. The High Paying Jobs Competition Index, a report by Ladders, indicates that only 12 percent of such jobs are now available remotely, a steep decline from the 37 percent recorded in the third quarter of 2022. This trend is evident across both technology and non-technology sectors. More →

A third of people say they have experienced a toxic manager

A third of people say they have experienced a toxic manager

A third of employees (33 percent) in the UK have experienced a toxic manager at work in the past five years, and over four in ten (41 percent) have left a job due to their dissatisfactionA third of employees (33 percent) in the UK have experienced a toxic manager at work in the past five years, and over four in ten (41 percent) have left a job due to their dissatisfaction with management. The findings are from Corndel’s Workplace Training Report 2024, based on research conducted with 250 HR decision makers at large organisations and 1,000 UK employees. Toxic manager traits defined by the poll  including micromanagement, inflexibility, intimidation, gaslighting colleagues and a deflecting accountability.  More →

Half of people ‘struggle’ with the idea of more face to face meetings

Half of people ‘struggle’ with the idea of more face to face meetings

A new poll claims that half of office workers in the UK, who have experienced an increase in face to face meetings, are struggling to copeA new poll claims that over half (52 percent) of office workers in the UK, who have experienced an increase in face to face meetings, are struggling to cope with the increased demand, as business travel and in person time is on the rise. For many this has resulted in an increase in business travel, with 35 percent admitting the frequency of work related travel has steadily increased over the last two years – in fact 66 percent of office workers have travelled up to 50 times for business in the last 12 months. More →

Fitwel Announces 2024 Best in Building Health Awards

Fitwel Announces 2024 Best in Building Health Awards

Fitwel, the building health certification system, has announced the winners of the 2024 Best in Building Health Awards.Fitwel, the building health certification system, has announced the winners of the 2024 Best in Building Health Awards. The awards are designed to honour the most innovative real estate companies and individuals ‘setting the standard for health and wellbeing in the built environment across the globe, leveraging the trusted Fitwel Standard to enhance quality of life and drive value through design and operational excellence’. This year’s winners include projects from Canada, Spain, Taiwan, the United Kingdom, Thailand, and the United States. More →

AI is already transforming the legal sector, but challenges remain

AI is already transforming the legal sector, but challenges remain

As AI technologies continue to gain traction, just about every sector you can think of is going to face huge changes in the coming years – and that’s especially the case in the legal industry. From the rise of large language models (LLMs) to the integration of AI into existing software, this cutting-edge technology is already uprooting the way we work now, and it’s making us think deeply about what work will look like in the future. More →

Architecture must transform to meet the climate challenge, say RIBA

== Here the article breaks off for quantum chemistry results ==
- - -
No. 1
DFT (ωB97M-V/def2-TZVPD) results for a structure of composition C24H62FeN2O11 in a non-equilibrium geometry.

Geometry as XYZ:
```
100
Properties=species:S:1:pos:R:3:forces:R:3:mulliken_charge:R:1
Fe 2.3987 -0.7831 0.2181 0.8 -1.9 1.5 1.090
O 2.5241 0.3600 4.6833 -0.6 0.4 0.0 -0.573
O 0.7361 -1.6905 4.3714 0.2 0.3 -0.1 -0.806
O 3.6500 -0.1571 1.9752 0.4 0.2 -0.3 -0.460
O -1.9606 -1.6145 1.4211 -0.1 0.2 0.1 -0.620
O 1.0161 -1.4805 -1.1047 -1.0 0.1 -1.2 -0.285
O -2.4582 0.0891 4.8453 0.9 0.1 0.4 -0.461
O -4.1524 3.4509 -1.3335 1.1 0.0 -0.5 -0.440
O 3.8491 -0.0841 -1.1664 0.5 0.7 -0.3 -0.551
O 3.2909 -2.7623 0.5035 -0.3 1.2 0.0 -1.215
O 1.5776 1.2032 0.2635 0.2 1.4 -1.6 -0.913
O 0.6717 -0.2273 1.5185 -1.7 -0.6 0.8 0.332
N -3.6082 3.9062 -2.5661 -0.7 0.7 -0.8 0.127
N 2.5309 -3.7386 -0.1588 -0.9 0.6 -1.0 1.429
C 4.5526 -4.9593 -1.0872 0.2 0.6 0.5 -1.518
C -3.6019 1.6775 3.4479 -0.4 0.2 -0.4 -1.158
C -3.1863 3.3741 -4.9645 0.9 0.7 0.2 -1.202
C -5.2724 2.6886 -3.8940 -0.4 0.0 1.8 -2.025
C -0.2285 2.0363 1.6081 -0.4 -0.8 -1.0 0.200
C 1.8614 1.5539 5.0889 -0.2 0.9 -0.4 0.243
C 0.8535 -3.7392 1.6446 -0.2 -0.5 0.3 -1.634
C -1.2930 4.0092 -1.6292 0.8 -0.2 -0.9 -2.052
C -3.2072 1.4914 -3.2657 0.6 0.6 0.1 -1.818
C -3.7675 2.9072 -3.6159 -0.4 -1.8 -1.0 1.713
C 3.4408 -3.1953 -2.4318 1.2 0.9 0.4 -1.503
C 3.1851 -4.2656 -1.3619 -0.7 -1.2 -0.2 1.335
C 0.8140 -5.3946 -0.1815 -1.2 -1.3 0.1 -1.239
C -1.9082 5.1294 -3.7903 1.7 -0.4 -0.4 -1.385
C -1.8092 3.9884 -4.8263 -0.3 1.4 1.0 -0.657
C 0.6285 0.9414 1.0412 1.9 -0.9 1.1 0.961
C 1.7461 -4.6170 0.7270 0.0 0.9 -0.7 1.614
C 1.5060 -6.2789 -1.2208 0.5 2.4 0.6 -0.783
C 2.5680 -5.5807 1.6043 -0.1 0.9 0.1 -1.977
C -2.8288 5.9828 -1.6655 0.6 1.0 0.8 -2.146
C 2.4735 2.7830 4.4177 0.3 -0.6 -0.4 -1.091
C -2.3949 4.7228 -2.3982 -1.0 0.7 -0.1 2.194
C -2.8652 1.4316 4.7732 -1.5 0.8 -1.2 -0.235
C 2.2556 -5.2636 -2.1216 0.1 -1.8 0.4 -1.313
H 1.6006 -2.1208 4.3878 -0.2 -0.3 -0.1 0.276
H 4.8331 -5.6418 -1.8887 0.2 0.3 -0.2 0.366
H -0.0116 -4.3504 1.9223 0.1 -0.1 0.3 0.376
H -1.4863 4.5218 -5.7222 0.1 -0.6 -0.3 0.365
H 0.8090 1.5596 4.7883 -0.1 -0.5 0.2 -0.160
H -2.3659 6.0127 -4.2367 -0.7 -0.2 0.3 0.421
H 4.2230 -2.5237 -2.0558 -0.2 0.2 0.2 -0.060
H -0.9983 3.3484 -4.4729 -0.2 -0.5 -0.3 0.330
H 1.8717 -6.1434 2.2269 0.2 -0.2 0.1 0.383
H -3.7996 2.7268 3.2124 0.0 0.1 0.4 0.359
H -3.1200 2.6056 -5.7358 -0.6 -0.4 0.3 0.422
H 0.6721 -1.3040 3.4822 -0.1 -0.1 -0.2 0.288
H -5.5307 2.1641 -4.8109 0.4 0.2 -0.2 0.372
H 2.0703 3.7276 4.7794 0.3 -0.1 0.5 0.380
H 0.5479 -0.8951 -1.7131 0.1 0.1 0.1 0.159
H 0.7246 -6.8346 -1.7323 0.5 -0.5 -0.3 0.382
H -3.3818 2.9940 -0.9567 -0.5 -0.3 0.4 0.360
H 2.5886 -2.5924 -2.7402 -0.2 -0.2 0.3 0.365
H 3.5569 2.6837 4.5114 0.0 0.6 0.2 0.329
H 1.5546 -4.8180 -2.8276 0.2 0.4 0.0 0.435
H 2.9590 -5.9300 -2.6276 -0.1 0.5 -0.9 0.328
H 2.3461 -6.8326 -0.8012 -0.7 -0.8 0.3 0.337
H 1.8989 1.6518 6.1752 0.1 0.0 0.1 0.399
H -2.0816 -2.2078 2.1698 0.0 0.0 0.0 0.282
H 1.3510 -3.4430 2.5667 0.2 -0.1 -0.1 0.301
- - -
== So much for the quantum chemistry results ==

Architecture must transform to meet the climate challenge, say RIBA

The most significant actions the architecture profession can take to help mitigate the worst impacts of climate change, adapt buildings to withstand weather extremes, promote biodiversity and scale up engagement and activismThe Royal Institute of British Architects (RIBA) has launched a new horizon-scanning programme with a set of scans that identify the most pertinent environmental issues facing the built environment over the next ten years. Developed by leading academics, The Environmental Challenge themed horizon scans provide foresight into the most significant actions the architecture profession can take to help mitigate the worst impacts of climate change, adapt buildings to withstand weather extremes, promote biodiversity and scale up engagement and activism. More →

Third of businesses say they are more likely to hire contractors this year

Third of businesses say they are more likely to hire contractors this year

Just under a third (32 percent) of UK employers plan to hire more contract workers this year, according to a new report [registration] from recruitment company Robert Walters. Over a quarter (29 percent) report being encouraged to do so by the upcoming IR35 offset rule – coming into effect in early April. Not only that, but a January report from KPMG & REC found that demand for temporary professionals continued to increase softly across the private sector towards the end of 2023 – boding well for this year’s hiring. More →